Duplicate the listing below unchanged.

<<<
# Sc3Cu3P2
Calculated X-ray powder pattern, Cu Kα. Input: the GGA-PBE geometry in OQMD.

Principal peaks in the range 2θ = 10–80°, by angle:
28.72°, I 100, (1 1 0); 33.85°, I 92, (0 2 1); 35.40°, I 58, (2 0 2); 45.24°, I 52, (1 0 7); 59.48°, I 36, (2 2 0); 62.74°, I 36, (2 1 7)

Cell and atoms:
```
data_Sc3Cu3P2
_chemical_formula_sum 'Sc9 Cu9 P6'
_symmetry_space_group_name_H-M 'R -3 m'
_symmetry_Int_Tables_number 166
_symmetry_space_group_name_Hall '-R 3 2"'
_cell_length_a 6.2159
_cell_length_b 6.2159
_cell_length_c 15.1186
_cell_angle_alpha 90.00
_cell_angle_beta 90.00
_cell_angle_gamma 120.00
loop_
_atom_site_label
_atom_site_type_symbol
_atom_site_fract_x
_atom_site_fract_y
_atom_site_fract_z
Sc1 Sc 0.0000 0.5000 0.0000
Cu1 Cu 0.0000 0.0000 0.0753
Cu2 Cu 0.0000 0.0000 0.5000
P1 P 0.0000 0.0000 0.2184
```


Sr2Mn2O5: calculated powder XRD pattern (Cu Kα (λ = 1.5418 Å)), based on a structure optimized by DFT (GGA+U).
Kinematic intensities with the Lorentz-polarization factor, no thermal factor.

Most intense lines, 10 to 90 degrees two-theta, most intense first:
2theta, d (Å), I/Imax
31.53, 2.837, 100
32.25, 2.776, 71
46.25, 1.963, 35
57.11, 1.613, 19
40.17, 2.245, 19
44.12, 2.052, 17
55.70, 1.650, 17
57.00, 1.616, 17
39.17, 2.300, 16
10.78, 8.210, 14

Structural model:
```
Sr2Mn2O5
1.0
-8.210 2.780 2.772
8.210 -2.780 2.772
8.210 2.780 -2.772
Sr Mn O
4 4 10
Direct
0.008 0.108 0.117 Sr
0.008 0.392 0.400 Sr
0.992 0.608 0.600 Sr
0.992 0.892 0.883 Sr
0.476 0.791 0.185 Mn
0.500 0.000 0.500 Mn
0.500 0.500 0.000 Mn
0.607 0.291 0.815 Mn
0.000 0.254 0.751 O
0.000 0.749 0.246 O
0.477 0.133 0.622 O
0.477 0.355 0.844 O
0.503 0.249 0.249 O
0.503 0.754 0.754 O
0.511 0.633 0.156 O
0.511 0.855 0.378 O
0.781 0.137 0.143 O
0.994 0.637 0.857 O
```


1.
For LaGaH, a GGA-PBE-relaxed structure gives the computed XRD peak list in this record (λ = 1.5418 Å (Cu Kα)).
Peak positions follow from Bragg's law for the DFT cell and can differ from measured ones.

Main lines, in order of rising 2θ (10° ≤ 2θ ≤ 90°):
d [Å]  I/Imax
2.983  80.6
2.954  100.0
2.510  47.8
2.449  27.8
1.741  33.0
1.637  39.0

Atomic structure:
a = 4.317 Å, b = 4.287 Å, c = 6.555 Å
α = 90.00°, β = 109.16°, γ = 90.00°
Fractional coordinates of all 6 atoms:
La (0.155, 0.250, 0.311)
La (0.845, 0.750, 0.689)
Ga (0.444, 0.250, 0.890)
Ga (0.556, 0.750, 0.110)
H (0.248, 0.750, 0.497)
H (0.752, 0.250, 0.503)



2.
For Li6Mg8Ag, a GGA-PBE-relaxed structure gives the computed XRD peak list in this record (λ = 1.5418 Å (Cu Kα)).
Peak positions follow from Bragg's law for the DFT cell and can differ from measured ones.

Main lines, in order of rising 2θ (10° ≤ 2θ ≤ 90°):
d [Å]  I/Imax
6.538  82.1
5.245  62.4
4.180  57.4
3.226  65.6
2.805  47.7
2.575  100.0

Atomic structure:
a = 7.001 Å, b = 7.001 Å, c = 7.001 Å
α = 73.32°, β = 73.32°, γ = 73.32°
Fractional coordinates of all 15 atoms:
Li (0.041, 0.639, 0.296)
Li (0.296, 0.041, 0.639)
Li (0.361, 0.704, 0.959)
Li (0.639, 0.296, 0.041)
Li (0.704, 0.959, 0.361)
Li (0.959, 0.361, 0.704)
Mg (0.070, 0.762, 0.657)
Mg (0.238, 0.343, 0.930)
Mg (0.343, 0.930, 0.238)
Mg (0.402, 0.402, 0.402)
Mg (0.598, 0.598, 0.598)
Mg (0.657, 0.070, 0.762)
Mg (0.762, 0.657, 0.070)
Mg (0.930, 0.238, 0.343)
Ag (0.000, 0.000, 0.000)



3.
For Cu2Ag3S2Br3, a GGA-PBE-relaxed structure gives the computed XRD peak list in this record (λ = 1.5418 Å (Cu Kα)).
Peak positions follow from Bragg's law for the DFT cell and can differ from measured ones.

Main lines, in order of rising 2θ (10° ≤ 2θ ≤ 90°):
d [Å]  I/Imax
3.375  74.6
2.867  79.7
2.804  71.4
2.027  67.6
1.966  100.0
1.738  42.3

Atomic structure:
a = 13.803 Å, b = 13.803 Å, c = 13.803 Å
α = 163.11°, β = 163.11°, γ = 23.97°
Fractional coordinates of all 10 atoms:
Cu (0.250, 0.750, 0.500)
Cu (0.750, 0.250, 0.500)
Ag (0.000, 0.000, 0.000)
Ag (0.388, 0.388, 0.000)
Ag (0.612, 0.612, 0.000)
S (0.293, 0.293, 0.000)
S (0.707, 0.707, 0.000)
Br (0.105, 0.105, 0.000)
Br (0.500, 0.500, 0.000)
Br (0.895, 0.895, 0.000)



4.
>>>

# Sc3Cu3P2
Calculated X-ray powder pattern, Cu Kα. Input: the GGA-PBE geometry in OQMD.

Principal peaks in the range 2θ = 10–80°, by angle:
28.72°, I 100, (1 1 0); 33.85°, I 92, (0 2 1); 35.40°, I 58, (2 0 2); 45.24°, I 52, (1 0 7); 59.48°, I 36, (2 2 0); 62.74°, I 36, (2 1 7)

Cell and atoms:
```
data_Sc3Cu3P2
_chemical_formula_sum 'Sc9 Cu9 P6'
_symmetry_space_group_name_H-M 'R -3 m'
_symmetry_Int_Tables_number 166
_symmetry_space_group_name_Hall '-R 3 2"'
_cell_length_a 6.2159
_cell_length_b 6.2159
_cell_length_c 15.1186
_cell_angle_alpha 90.00
_cell_angle_beta 90.00
_cell_angle_gamma 120.00
loop_
_atom_site_label
_atom_site_type_symbol
_atom_site_fract_x
_atom_site_fract_y
_atom_site_fract_z
Sc1 Sc 0.0000 0.5000 0.0000
Cu1 Cu 0.0000 0.0000 0.0753
Cu2 Cu 0.0000 0.0000 0.5000
P1 P 0.0000 0.0000 0.2184
```


Sr2Mn2O5: calculated powder XRD pattern (Cu Kα (λ = 1.5418 Å)), based on a structure optimized by DFT (GGA+U).
Kinematic intensities with the Lorentz-polarization factor, no thermal factor.

Most intense lines, 10 to 90 degrees two-theta, most intense first:
2theta, d (Å), I/Imax
31.53, 2.837, 100
32.25, 2.776, 71
46.25, 1.963, 35
57.11, 1.613, 19
40.17, 2.245, 19
44.12, 2.052, 17
55.70, 1.650, 17
57.00, 1.616, 17
39.17, 2.300, 16
10.78, 8.210, 14

Structural model:
```
Sr2Mn2O5
1.0
-8.210 2.780 2.772
8.210 -2.780 2.772
8.210 2.780 -2.772
Sr Mn O
4 4 10
Direct
0.008 0.108 0.117 Sr
0.008 0.392 0.400 Sr
0.992 0.608 0.600 Sr
0.992 0.892 0.883 Sr
0.476 0.791 0.185 Mn
0.500 0.000 0.500 Mn
0.500 0.500 0.000 Mn
0.607 0.291 0.815 Mn
0.000 0.254 0.751 O
0.000 0.749 0.246 O
0.477 0.133 0.622 O
0.477 0.355 0.844 O
0.503 0.249 0.249 O
0.503 0.754 0.754 O
0.511 0.633 0.156 O
0.511 0.855 0.378 O
0.781 0.137 0.143 O
0.994 0.637 0.857 O
```


1.
For LaGaH, a GGA-PBE-relaxed structure gives the computed XRD peak list in this record (λ = 1.5418 Å (Cu Kα)).
Peak positions follow from Bragg's law for the DFT cell and can differ from measured ones.

Main lines, in order of rising 2θ (10° ≤ 2θ ≤ 90°):
d [Å]  I/Imax
2.983  80.6
2.954  100.0
2.510  47.8
2.449  27.8
1.741  33.0
1.637  39.0

Atomic structure:
a = 4.317 Å, b = 4.287 Å, c = 6.555 Å
α = 90.00°, β = 109.16°, γ = 90.00°
Fractional coordinates of all 6 atoms:
La (0.155, 0.250, 0.311)
La (0.845, 0.750, 0.689)
Ga (0.444, 0.250, 0.890)
Ga (0.556, 0.750, 0.110)
H (0.248, 0.750, 0.497)
H (0.752, 0.250, 0.503)



2.
For Li6Mg8Ag, a GGA-PBE-relaxed structure gives the computed XRD peak list in this record (λ = 1.5418 Å (Cu Kα)).
Peak positions follow from Bragg's law for the DFT cell and can differ from measured ones.

Main lines, in order of rising 2θ (10° ≤ 2θ ≤ 90°):
d [Å]  I/Imax
6.538  82.1
5.245  62.4
4.180  57.4
3.226  65.6
2.805  47.7
2.575  100.0

Atomic structure:
a = 7.001 Å, b = 7.001 Å, c = 7.001 Å
α = 73.32°, β = 73.32°, γ = 73.32°
Fractional coordinates of all 15 atoms:
Li (0.041, 0.639, 0.296)
Li (0.296, 0.041, 0.639)
Li (0.361, 0.704, 0.959)
Li (0.639, 0.296, 0.041)
Li (0.704, 0.959, 0.361)
Li (0.959, 0.361, 0.704)
Mg (0.070, 0.762, 0.657)
Mg (0.238, 0.343, 0.930)
Mg (0.343, 0.930, 0.238)
Mg (0.402, 0.402, 0.402)
Mg (0.598, 0.598, 0.598)
Mg (0.657, 0.070, 0.762)
Mg (0.762, 0.657, 0.070)
Mg (0.930, 0.238, 0.343)
Ag (0.000, 0.000, 0.000)



3.
For Cu2Ag3S2Br3, a GGA-PBE-relaxed structure gives the computed XRD peak list in this record (λ = 1.5418 Å (Cu Kα)).
Peak positions follow from Bragg's law for the DFT cell and can differ from measured ones.

Main lines, in order of rising 2θ (10° ≤ 2θ ≤ 90°):
d [Å]  I/Imax
3.375  74.6
2.867  79.7
2.804  71.4
2.027  67.6
1.966  100.0
1.738  42.3

Atomic structure:
a = 13.803 Å, b = 13.803 Å, c = 13.803 Å
α = 163.11°, β = 163.11°, γ = 23.97°
Fractional coordinates of all 10 atoms:
Cu (0.250, 0.750, 0.500)
Cu (0.750, 0.250, 0.500)
Ag (0.000, 0.000, 0.000)
Ag (0.388, 0.388, 0.000)
Ag (0.612, 0.612, 0.000)
S (0.293, 0.293, 0.000)
S (0.707, 0.707, 0.000)
Br (0.105, 0.105, 0.000)
Br (0.500, 0.500, 0.000)
Br (0.895, 0.895, 0.000)



4.